-- Exercise --
Duplicate the contents below unchanged.

-- Material --
~~~
# Mn3VF (PBE+U, optimized geometry)
data_Mn3VF
_chemical_formula_sum 'Mn3 V1 F1'
_cell_length_a 5.0225
_cell_length_b 5.0225
_cell_length_c 5.0225
_cell_angle_alpha 90.00
_cell_angle_beta 90.00
_cell_angle_gamma 90.00
_space_group_name_H-M_alt 'P m -3 m'
_space_group_IT_number 221
_space_group_name_Hall '-P 4 2 3'
loop_
_atom_site_label
_atom_site_type_symbol
_atom_site_fract_x
_atom_site_fract_y
_atom_site_fract_z
Mn1 Mn 0.0000 0.0000 0.5000
V1 V 0.0000 0.0000 0.0000
F1 F 0.5000 0.5000 0.5000
# Magnetization: 10.009 μB/f.u.
# V: 127 Å³ per cell
# Excess energy over the best structure of this formula in the dataset: 755.4 meV per atom

=====

1.
# CsBr2F2

A relaxed CsBr2F2 crystal (GGA-PBE, the Alexandria database).

E above lowest polymorph   0 meV per atom

a = 8.5705 Å, b = 8.5705 Å, c = 3.5296 Å
α = 90.00°, β = 90.00°, γ = 90.00°
Closest atoms and distances in Å follow each position.
Space group P4/mbm (No. 127)
Unique sites:
Cs: 0.0000 0.0000 0.0000 [2 per cell]  8 F 3.51, 2 Cs 3.53, 4 Br 3.56
Br: 0.0951 0.4049 0.0000 [4 per cell]  1 Br 2.31
F: 0.2484 0.7484 0.5000 [4 per cell]  2 Br 2.59

2.
# Cs2BrF

A relaxed Cs2BrF crystal (GGA-PBE, the Alexandria database).

E above lowest polymorph   29 meV per atom

a = 4.6151 Å, b = 4.6151 Å, c = 24.5341 Å
α = 90.00°, β = 90.00°, γ = 120.00°
Closest atoms and distances in Å follow each position.
Space group R3m (No. 160, hexagonal axes)
Unique sites:
Cs: 0.0000 0.0000 0.0000 [3 per cell]  3 F 3.14
Cs: 0.0000 0.0000 0.1968 [3 per cell]  3 F 3.16
Br: 0.0000 0.0000 0.4314 [3 per cell]  6 Cs 3.59-3.60
F: 0.0000 0.0000 0.5990 [3 per cell]  6 Cs 3.14-3.16

3.
# CsBrF

A relaxed CsBrF crystal (GGA-PBE, the Alexandria database).

E above lowest polymorph   109 meV per atom

a = 16.7592 Å, b = 5.2853 Å, c = 5.1634 Å
α = 90.00°, β = 90.40°, γ = 90.00°
Closest atoms and distances in Å follow each position.
Space group C2/m (No. 12)
Unique sites:
Cs: 0.1771 0.0000 0.2484 [4 per cell]  4 F 2.88-2.89
Br: 0.0144 0.5000 0.7503 [4 per cell]  2 Br 2.63
F: 0.2469 0.5000 0.2500 [4 per cell]  4 Cs 2.88-2.89

4.
# Cs2BrF

A relaxed Cs2BrF crystal (GGA-PBE, the Alexandria database).

E above lowest polymorph   104 meV per atom

a = 4.0219 Å, b = 4.0219 Å, c = 8.2987 Å
α = 90.00°, β = 90.00°, γ = 90.00°
Closest atoms and distances in Å follow each position.
Space group P4/mmm (No. 123)
Unique sites:
Cs: 0.0000 0.0000 0.2212 [2 per cell]  4 F 3.38, 4 Br 3.67, 1 Cs 3.67
Br: 0.5000 0.5000 0.5000 [1 per cell]  8 Cs 3.67, 4 Br 4.02
F: 0.5000 0.5000 0.0000 [1 per cell]  8 Cs 3.38

=====

[1]
# GGA-PBE TlBrF2, optimized geometry
data_TlBrF2
_chemical_formula_sum 'Tl4 Br4 F8'
_cell_length_a 5.8261
_cell_length_b 5.6961
_cell_length_c 11.3605
_cell_angle_alpha 90.00
_cell_angle_beta 90.00
_cell_angle_gamma 90.00
_space_group_name_H-M_alt 'P n n a'
_space_group_IT_number 52
loop_
_space_group_symop_operation_xyz
'x,y,z'
'-x,-y,-z'
'-x+1/2,-y,z'
'x+1/2,y,-z'
'x,-y+1/2,-z+1/2'
'-x,y+1/2,z+1/2'
'-x+1/2,y+1/2,-z+1/2'
'x+1/2,-y+1/2,z+1/2'
loop_
_atom_site_label
_atom_site_fract_x
_atom_site_fract_y
_atom_site_fract_z
_atom_site_occupancy
Tl1 0.2500 0.0000 0.0916 1
Br1 0.0000 0.2500 0.2500 1
F1 0.0714 0.2020 0.9470 1
# E above lowest polymorph in meV/atom: 0
# Raw formation energy in kJ/mol of atoms: -129.2
# Volume in Å³/cell: 377



[2]
# GGA-PBE SbAsHPb2, optimized geometry
data_SbAsHPb2
_chemical_formula_sum 'Sb1 As1 H1 Pb2'
_cell_length_a 6.0243
_cell_length_b 6.0243
_cell_length_c 3.4412
_cell_angle_alpha 90.00
_cell_angle_beta 90.00
_cell_angle_gamma 90.00
_space_group_name_H-M_alt 'P 4/m m m'
_space_group_IT_number 123
_space_group_name_Hall '-P 4 2'
loop_
_atom_site_label
_atom_site_fract_x
_atom_site_fract_y
_atom_site_fract_z
_atom_site_occupancy
Sb1 0.0000 0.0000 0.0000 1
As1 0.5000 0.5000 0.5000 1
H1 0.5000 0.5000 0.0000 1
Pb1 0.0000 0.5000 0.5000 1
# Volume in Å³/cell: 125
# D(E_F) in states/eV per cell: 3.88



[3]
# GGA-PBE NiMo2P, optimized geometry
data_NiMo2P
_chemical_formula_sum 'Ni1 Mo2 P1'
~~~

-- Written answer --
# Mn3VF (PBE+U, optimized geometry)
data_Mn3VF
_chemical_formula_sum 'Mn3 V1 F1'
_cell_length_a 5.0225
_cell_length_b 5.0225
_cell_length_c 5.0225
_cell_angle_alpha 90.00
_cell_angle_beta 90.00
_cell_angle_gamma 90.00
_space_group_name_H-M_alt 'P m -3 m'
_space_group_IT_number 221
_space_group_name_Hall '-P 4 2 3'
loop_
_atom_site_label
_atom_site_type_symbol
_atom_site_fract_x
_atom_site_fract_y
_atom_site_fract_z
Mn1 Mn 0.0000 0.0000 0.5000
V1 V 0.0000 0.0000 0.0000
F1 F 0.5000 0.5000 0.5000
# Magnetization: 10.009 μB/f.u.
# V: 127 Å³ per cell
# Excess energy over the best structure of this formula in the dataset: 755.4 meV per atom

=====

1.
# CsBr2F2

A relaxed CsBr2F2 crystal (GGA-PBE, the Alexandria database).

E above lowest polymorph   0 meV per atom

a = 8.5705 Å, b = 8.5705 Å, c = 3.5296 Å
α = 90.00°, β = 90.00°, γ = 90.00°
Closest atoms and distances in Å follow each position.
Space group P4/mbm (No. 127)
Unique sites:
Cs: 0.0000 0.0000 0.0000 [2 per cell]  8 F 3.51, 2 Cs 3.53, 4 Br 3.56
Br: 0.0951 0.4049 0.0000 [4 per cell]  1 Br 2.31
F: 0.2484 0.7484 0.5000 [4 per cell]  2 Br 2.59

2.
# Cs2BrF

A relaxed Cs2BrF crystal (GGA-PBE, the Alexandria database).

E above lowest polymorph   29 meV per atom

a = 4.6151 Å, b = 4.6151 Å, c = 24.5341 Å
α = 90.00°, β = 90.00°, γ = 120.00°
Closest atoms and distances in Å follow each position.
Space group R3m (No. 160, hexagonal axes)
Unique sites:
Cs: 0.0000 0.0000 0.0000 [3 per cell]  3 F 3.14
Cs: 0.0000 0.0000 0.1968 [3 per cell]  3 F 3.16
Br: 0.0000 0.0000 0.4314 [3 per cell]  6 Cs 3.59-3.60
F: 0.0000 0.0000 0.5990 [3 per cell]  6 Cs 3.14-3.16

3.
# CsBrF

A relaxed CsBrF crystal (GGA-PBE, the Alexandria database).

E above lowest polymorph   109 meV per atom

a = 16.7592 Å, b = 5.2853 Å, c = 5.1634 Å
α = 90.00°, β = 90.40°, γ = 90.00°
Closest atoms and distances in Å follow each position.
Space group C2/m (No. 12)
Unique sites:
Cs: 0.1771 0.0000 0.2484 [4 per cell]  4 F 2.88-2.89
Br: 0.0144 0.5000 0.7503 [4 per cell]  2 Br 2.63
F: 0.2469 0.5000 0.2500 [4 per cell]  4 Cs 2.88-2.89

4.
# Cs2BrF

A relaxed Cs2BrF crystal (GGA-PBE, the Alexandria database).

E above lowest polymorph   104 meV per atom

a = 4.0219 Å, b = 4.0219 Å, c = 8.2987 Å
α = 90.00°, β = 90.00°, γ = 90.00°
Closest atoms and distances in Å follow each position.
Space group P4/mmm (No. 123)
Unique sites:
Cs: 0.0000 0.0000 0.2212 [2 per cell]  4 F 3.38, 4 Br 3.67, 1 Cs 3.67
Br: 0.5000 0.5000 0.5000 [1 per cell]  8 Cs 3.67, 4 Br 4.02
F: 0.5000 0.5000 0.0000 [1 per cell]  8 Cs 3.38

=====

[1]
# GGA-PBE TlBrF2, optimized geometry
data_TlBrF2
_chemical_formula_sum 'Tl4 Br4 F8'
_cell_length_a 5.8261
_cell_length_b 5.6961
_cell_length_c 11.3605
_cell_angle_alpha 90.00
_cell_angle_beta 90.00
_cell_angle_gamma 90.00
_space_group_name_H-M_alt 'P n n a'
_space_group_IT_number 52
loop_
_space_group_symop_operation_xyz
'x,y,z'
'-x,-y,-z'
'-x+1/2,-y,z'
'x+1/2,y,-z'
'x,-y+1/2,-z+1/2'
'-x,y+1/2,z+1/2'
'-x+1/2,y+1/2,-z+1/2'
'x+1/2,-y+1/2,z+1/2'
loop_
_atom_site_label
_atom_site_fract_x
_atom_site_fract_y
_atom_site_fract_z
_atom_site_occupancy
Tl1 0.2500 0.0000 0.0916 1
Br1 0.0000 0.2500 0.2500 1
F1 0.0714 0.2020 0.9470 1
# E above lowest polymorph in meV/atom: 0
# Raw formation energy in kJ/mol of atoms: -129.2
# Volume in Å³/cell: 377



[2]
# GGA-PBE SbAsHPb2, optimized geometry
data_SbAsHPb2
_chemical_formula_sum 'Sb1 As1 H1 Pb2'
_cell_length_a 6.0243
_cell_length_b 6.0243
_cell_length_c 3.4412
_cell_angle_alpha 90.00
_cell_angle_beta 90.00
_cell_angle_gamma 90.00
_space_group_name_H-M_alt 'P 4/m m m'
_space_group_IT_number 123
_space_group_name_Hall '-P 4 2'
loop_
_atom_site_label
_atom_site_fract_x
_atom_site_fract_y
_atom_site_fract_z
_atom_site_occupancy
Sb1 0.0000 0.0000 0.0000 1
As1 0.5000 0.5000 0.5000 1
H1 0.5000 0.5000 0.0000 1
Pb1 0.0000 0.5000 0.5000 1
# Volume in Å³/cell: 125
# D(E_F) in states/eV per cell: 3.88



[3]
# GGA-PBE NiMo2P, optimized geometry
data_NiMo2P
_chemical_formula_sum 'Ni1 Mo2 P1'